Anchor of Secrets by Tessa Hale


I movedthrough the school hall on autopilot, Declan on one side and Dash on the other. I didn’t even flinch when Chloe glared at me, or her friends dropped snide comments. I had far worse things to worry about than bitchy mean girls.

The guys hadn’t wanted me to go to school. And maybe they’d been right. My body felt as if it were weighed down with iron chains by the end of the day. But staying home would’ve been worse. All I would’ve had was time to think. To worry. Maryanne’s presence taunting me every second. At least school had distractions.

Declan slid my backpack from my shoulder. “How about a movie night tonight?”

I needed to do homework, but cuddling with the guys in the screening room sounded way better. “Sure.”

Dash wove his fingers through mine. “I’ll text Baldwin on our way home. What do you want for snacks?”

My mouth curved the barest amount. Dash was always trying to feed me. To take care of me. “Tell him to go with whatever mood strikes him.”

Dash chuckled. “That’s dangerous. We could end up with an eight-course feast in the screening room.”

Declan grinned. “I wouldn’t hate it.”

“Freak,” Mimi spat as we passed. “Careful, boys, I hear her disease is catching.”

Declan whirled on her. “Careful, Mimi. Your jealousy’s showing, and Trace has been on edge lately. Doubt he’d mind taking that out on you. I’ll help him bury the body.”

She paled but then straightened her shoulders. “You can’t touch me. Any of us. The Assembly’s watching.”

Declan bared his teeth at her. “The Assembly will never know. You’ll just go missing one day. Except no one will actually give a damn you’re gone.”

Her jaw dropped open, but we didn’t stop, passing her by and heading for the school’s exit.

“I’m getting sick of those bitches,” Declan muttered.

“You and me both,” Dash agreed. “Might be time for a lesson.”

Declan arched a brow in question.

Dash shrugged. “I’ve got ways to hide the trace of my spells.”

Declan chuckled. “I should’ve known.”

We stepped outside, and I caught sight of the rest of the guys waiting at the Escalade. My heart sped up at the vision, a tugging sensation emanating from my chest and almost seeming to pull me toward them. The closer we all got, the harder it was to be apart from them, even if it was just for a few classes.

'''
No. 1
Computed, not measured: a cluster of 3 separate species, C31H57IN3O10 in total, with ωB97M-V/def2-TZVPD.

The geometry in XYZ format:
```
102
Properties=species:S:1:pos:R:3:forces:R:3:mulliken_charge:R:1
N -4.004 4.265 -0.737 0.051 -0.129 0.434 -0.707
C -2.540 4.299 -0.708 -0.125 0.389 -0.098 -0.400
C -1.848 4.810 -1.992 -0.067 -0.842 -0.153 -0.865
C -1.096 3.697 -2.760 -0.393 0.582 -0.006 0.665
C -2.045 3.013 -3.739 0.027 -0.271 0.046 -0.606
C -1.502 1.895 -4.655 -0.249 0.034 0.057 -2.216
C -0.306 1.025 -4.242 0.376 0.288 0.008 1.147
O -0.272 -0.112 -5.136 -0.656 -0.152 0.057 -0.686
C 0.997 1.883 -4.503 0.058 0.138 0.466 0.233
O 1.265 1.985 -5.716 0.018 0.062 -0.160 -0.828
O 1.549 2.391 -3.505 -0.132 -0.214 -0.359 -0.581
N -0.358 0.533 -2.892 -0.337 -0.229 -0.071 1.245
C -1.623 -0.019 -2.437 0.102 -0.245 0.029 -1.446
C -2.125 -1.318 -3.125 -0.280 -0.082 0.094 0.503
C -3.312 -1.110 -4.068 0.248 0.199 0.064 -1.256
I -4.817 -2.626 -3.814 -0.069 0.007 -0.189 -0.072
C 0.755 -0.338 -2.539 0.379 0.011 0.120 -1.507
C 1.583 0.180 -1.334 -0.636 -0.150 0.267 0.949
C 3.068 -0.001 -1.471 0.084 0.027 -0.024 -0.301
O 3.788 0.623 -2.192 -0.103 -0.105 0.176 -0.535
N 3.625 -1.056 -0.602 0.040 0.005 0.123 -0.026
C 4.702 -0.678 0.213 0.188 0.037 -0.031 0.365
C 5.872 -1.438 0.280 -0.095 0.054 0.083 -0.607
C 6.898 -1.076 1.140 -0.012 0.114 0.163 -0.576
C 6.789 0.058 1.938 -0.146 -0.027 -0.094 -0.517
C 5.632 0.829 1.857 0.016 -0.143 -0.055 -0.570
C 4.598 0.466 1.011 0.095 -0.018 -0.023 0.056
H -4.389 5.116 -1.122 -0.028 -0.025 -0.138 0.268
H -4.346 3.472 -1.258 -0.028 0.092 -0.204 0.267
H -2.211 3.285 -0.472 0.120 0.032 0.032 0.256
H -2.244 4.943 0.125 -0.017 -0.129 0.103 0.245
H -1.166 5.630 -1.767 -0.061 0.063 0.032 0.386
H -2.648 5.166 -2.649 0.141 0.403 0.015 0.389
H -0.697 2.983 -2.042 0.280 -0.081 -0.162 -0.578
H -0.267 4.132 -3.313 0.174 -0.168 0.065 0.434
H -2.452 3.795 -4.388 -0.057 -0.033 -0.029 0.462
H -2.910 2.623 -3.188 0.025 0.055 0.093 0.029
H -2.335 1.227 -4.900 0.007 0.000 0.001 0.119
H -1.194 2.342 -5.603 0.080 -0.049 0.000 0.647
H -0.318 0.255 -6.026 0.519 0.120 -0.034 0.483
H -1.497 -0.251 -1.375 0.027 0.087 0.018 0.464
H -2.409 0.736 -2.477 0.046 0.085 -0.074 0.239
H -1.316 -1.784 -3.683 0.043 0.005 0.028 0.246
H -2.430 -2.017 -2.344 0.040 0.012 0.039 0.095
H -3.837 -0.177 -3.873 -0.064 -0.048 0.067 0.450
H -3.018 -1.121 -5.112 -0.062 -0.096 -0.013 0.450
H 0.360 -1.321 -2.260 0.071 -0.068 -0.101 0.240
H 1.411 -0.515 -3.391 -0.075 0.237 -0.112 0.599
H 1.341 1.231 -1.195 0.284 0.145 -0.383 -0.755
H 1.247 -0.346 -0.438 0.151 0.022 0.058 0.530
H 3.835 -1.884 -1.145 -0.013 0.018 -0.074 0.284
H 5.973 -2.315 -0.350 -0.002 0.005 -0.002 0.289
H 7.798 -1.676 1.197 -0.026 -0.038 -0.073 0.345
H 7.590 0.334 2.610 0.003 0.015 -0.012 0.374
H 5.519 1.714 2.470 0.046 0.022 0.009 0.353
H 3.702 1.073 0.964 -0.039 -0.030 0.001 0.532
C -0.339 1.080 6.128 -0.015 -0.028 -0.062 -0.798
O -0.244 2.022 5.089 0.099 0.064 0.058 -0.150
'''
End of the molecular data:

Colt pushed off the SUV, striding toward me. He took my face in his hand and kissed me long and hard. As he pulled back, he breathed deeply. “Missed you.”

I burrowed into his hold. “I missed you, too.”

Ronan slipped a hand under my hair and tipped my head back. His lips met mine in a tender kiss. “Hate being away from you.”

I pressed my forehead to his. “I know,” I whispered.

The only one who kept his distance was Trace.

That wall between us hurt. I knew it wasn’t because he wanted to cause me pain. There were scars and fears that kept him separate. I just wished I knew why they were there. Wished I could heal them.

“Let’s get home,” Colt said.

We climbed into the SUV and headed for The Nest. Dash did his best to keep the conversation light as we drove, but everyone was on edge, not knowing what Maryanne’s presence could mean.

Colt pulled to a stop in front of our house, and we all piled out.

“Movies now?” Declan asked.

“I should probably do some homework first,” I grumbled.

Dash draped an arm over my shoulders. “We can study in the lounge. Then movie marathon.”

I looked up at him. “You gonna help me with bio?”

He grinned. “Always.”

Ronan snorted. “Helping you with bio is like foreplay to him.”

“Hey, we’ve all got our kinks,” Dash shot back.

I couldn’t hold in my laugh. And damn, it felt good to have humor find me again. I patted Dash’s chest. “Let’s go turn you on.”

We filed into the house and headed for the lounge. I flopped onto the couch, and Declan handed me my backpack. I pulled out my bio textbook, handing it to Dash. “Make it make sense.”

He snorted. “I’ll do my best.”

And he did. We spent the next hour going over mitosis and miosis until I actually had somewhat of a handle on the freaky process. I finally had a prayer of getting a good grade on the next test.

“I’m gonna get a soda. Anyone want anything?” Trace asked as he stood. But the moment he straightened, he started to wobble, then crashed back to the chair.

I was on my feet in a flash, but Colt made it to him first.

“Dude, you okay?” Colt asked.

“Yeah, just a little lightheaded.”

Dash crouched next to Trace, a worried look on his face. He pressed two fingers to Trace’s wrist, checking his pulse. He glanced up at me. “Do me a favor and get some juice and a snack.”

I nodded quickly, grateful to have something to do to help. I hurried down the hall and into the kitchen. Baldwin was nowhere to be found, but he’d clearly been busy in preparation for our movie night. There was a massive charcuterie board on the kitchen island and other trays that were covered.

Moving to the fridge, I opened it and grabbed the orange juice. I filled a glass and then took a plate from the stack. Baldwin would just have to forgive me for ruining his perfect display. I took an assortment of crackers, cheese, grapes, and sliced meats, and put them on the plate. Then I hurried back toward the lounge.

Raised voices stopped me in my tracks.

“Have you lost your mind?” Ronan snarled.

“It is what it is,” Trace said, voice low.

“You need sexual contact,” Dash argued.

“I won’t do it,” Trace snapped.

“Trace…” Colt began.

“No,” Trace cut him off. “I won’t betray her like that, but I won’t condemn her by touching her, either.”

I sucked in a sharp breath as I hovered outside the door.

It was quiet for a moment, and then it was Dash who spoke, his voice even. “Then you’re going to die.”